In Re Norwalk Tire & Rubber Co.

96 F. Supp. 274 | D. Conn. | 1951

**Misplaced data records:**
=====
(1)
Simulated PXRD pattern of NdMo6S8 for λ = 1.5418 Å (Cu Kα), from a GGA-PBE-relaxed structure.

The 12 most intense peaks (10° ≤ 2θ ≤ 90°), sorted by position:
2θ/deg, Rel. int.
13.5, 100
19.0, 71
19.3, 56
23.6, 30
30.7, 79
33.6, 67
40.7, 58
41.6, 82
43.5, 66
43.9, 36
46.0, 99
59.9, 31

Crystal structure
```
data_NdMo6S8
_symmetry_space_group_name_H-M 'P 1'
_symmetry_Int_Tables_number 1
_symmetry_space_group_name_Hall 'P 1'
_cell_length_a 6.5557
_cell_length_b 6.5557
_cell_length_c 6.5557
_cell_angle_alpha 89.07
_cell_angle_beta 89.07
_cell_angle_gamma 89.07
loop_
_atom_site_label
_atom_site_type_symbol
_atom_site_fract_x
_atom_site_fract_y
_atom_site_fract_z
Nd1 Nd 0.0000 0.0000 0.0000
Mo1 Mo 0.2264 0.4190 0.5626
Mo2 Mo 0.4190 0.5626 0.2264
Mo3 Mo 0.4374 0.7736 0.5810
Mo4 Mo 0.5626 0.2264 0.4190
Mo5 Mo 0.5810 0.4374 0.7736
Mo6 Mo 0.7736 0.5810 0.4374
S1 S 0.1264 0.7480 0.3750
S2 S 0.2429 0.2429 0.2429
S3 S 0.2520 0.6250 0.8736
S4 S 0.3750 0.1264 0.7480
S5 S 0.6250 0.8736 0.2520
S6 S 0.7480 0.3750 0.1264
S7 S 0.7571 0.7571 0.7571
S8 S 0.8736 0.2520 0.6250
```


(2)
Simulated PXRD pattern of Ba2GaP4HO14 for λ = 1.5418 Å (Cu Kα), from a GGA-PBE-relaxed structure.

The 12 most intense peaks (10° ≤ 2θ ≤ 90°), sorted by position:
2θ/deg, Rel. int.
22.4, 20
22.6, 32
25.3, 51
26.9, 46
27.2, 30
27.4, 26
28.5, 39
29.5, 100
31.0, 18
39.2, 32
43.2, 20
43.8, 30

Crystal structure
```
data_Ba2GaP4HO14
_symmetry_space_group_name_H-M 'P 1'
_symmetry_Int_Tables_number 1
_symmetry_space_group_name_Hall 'P 1'
_cell_length_a 4.8490
_cell_length_b 7.6636
_cell_length_c 8.6801
_cell_angle_alpha 108.08
_cell_angle_beta 97.04
_cell_angle_gamma 105.78
loop_
_atom_site_label
_atom_site_type_symbol
_atom_site_fract_x
_atom_site_fract_y
_atom_site_fract_z
Ba1 Ba 0.1460 0.4736 0.2410
Ba2 Ba 0.8540 0.5264 0.7590
Ga1 Ga 0.0000 0.0000 0.5000
P1 P 0.3745 0.1718 0.8742
P2 P 0.4542 0.8170 0.6387
P3 P 0.5458 0.1830 0.3613
P4 P 0.6255 0.8282 0.1258
H1 H 0.0000 0.0000 0.0000
O1 O 0.1566 0.1480 0.9884
O2 O 0.2199 0.1324 0.3676
O3 O 0.2519 0.2069 0.7173
O4 O 0.2609 0.8378 0.4949
O5 O 0.3341 0.6694 0.0331
O6 O 0.3440 0.6124 0.6420
O7 O 0.4206 0.9603 0.8115
O8 O 0.5794 0.0397 0.1885
O9 O 0.6560 0.3876 0.3580
O10 O 0.6659 0.3306 0.9669
O11 O 0.7391 0.1622 0.5051
O12 O 0.7481 0.7931 0.2827
O13 O 0.7801 0.8676 0.6324
O14 O 0.8434 0.8520 0.0116
```


(3)
Simulated PXRD pattern of Ba2LaTaO6 for λ = 1.5418 Å (Cu Kα), from a GGA-PBE-relaxed structure.

The 12 most intense peaks (10° ≤ 2θ ≤ 90°), sorted by position:
2θ/deg, Rel. int.
28.8, 33
28.9, 68
29.1, 100
41.3, 37
41.6, 17
50.9, 14
51.3, 15
51.4, 13
51.5, 35
59.9, 11
60.2, 17
68.1, 18

Crystal structure
```
data_Ba2LaTaO6
_symmetry_space_group_name_H-M 'P 1'
_symmetry_Int_Tables_number 1
_symmetry_space_group_name_Hall 'P 1'
_cell_length_a 6.2064
_cell_length_b 6.1493
_cell_length_c 10.6329
_cell_angle_alpha 90.00
_cell_angle_beta 125.19
_cell_angle_gamma 90.00
loop_
_atom_site_label
_atom_site_type_symbol
_atom_site_fract_x
=====
**The data records stop here:**

96 F. Supp. 274 (1951)

## Between two parts of the article: calculated crystals
********
Diffraction record for Ba3LaZnReWO12. The PXRD pattern is calculated, not measured: it uses the GGA+U geometry in Alexandria and a wavelength of 1.5418 Å.
Neutral-atom scattering factors, no anomalous dispersion.

Largest 10 diffraction maxima, low angle first, 10° ≤ 2θ ≤ 90°:
- 2θ = 18.7°, I = 16
- 2θ = 21.7°, I = 12
- 2θ = 28.3°, I = 94
- 2θ = 31.0°, I = 100
- 2θ = 36.4°, I = 14
- 2θ = 42.4°, I = 52
- 2θ = 53.5°, I = 31
- 2θ = 55.1°, I = 20
- 2θ = 64.6°, I = 19
- 2θ = 71.9°, I = 14

Atomic structure:
a b c (Å): 10.0683 10.0683 10.0683
angles (deg): 33.32 33.32 33.32
Fractional positions:
Ba  0.0000  0.0000  0.0000
Ba  0.1600  0.1600  0.1600
Ba  0.5851  0.5851  0.5851
La  0.4053  0.4053  0.4053
Zn  0.2890  0.2890  0.2890
Re  0.8746  0.8746  0.8746
W  0.7173  0.7173  0.7173
O  0.0087  0.5092  0.5092
O  0.0746  0.0746  0.6057
O  0.0746  0.6057  0.0746
O  0.1556  0.6845  0.6845
O  0.4262  0.9133  0.9133
O  0.5092  0.0087  0.5092
O  0.5092  0.5092  0.0087
O  0.6057  0.0746  0.0746
O  0.6845  0.1556  0.6845
O  0.6845  0.6845  0.1556
O  0.9133  0.4262  0.9133
O  0.9133  0.9133  0.4262

----------

For SrAlSi2Rh, a crystal structure in Alexandria, relaxed with GGA-PBE gives the simulated powder XRD pattern in this record (Cu Kα X-rays).
Peak positions follow from Bragg's law for the DFT cell and can differ from measured ones.

Top 6 peaks for 15° ≤ 2θ ≤ 90°, in order of rising 2θ:
23.09 deg, rel. 46, hkl 1 0 1
33.08 deg, rel. 48, hkl 1 0 3
34.98 deg, rel. 100, hkl 1 1 2
43.89 deg, rel. 39, hkl 2 0 0
56.04 deg, rel. 21, hkl 2 1 3
74.89 deg, rel. 21, hkl 3 1 2

Structural model:
a b c (Å): 4.126 4.126 10.768
angles (deg): 90.00 90.00 90.00
Space group I-4m2 (No. 119)
One atom of each set of equivalent atoms:
Sr: 0.000 0.000 0.000 (multiplicity 2)
Al: 0.000 0.500 0.250 (multiplicity 2)
Si: 0.000 0.000 0.383 (multiplicity 4)
Rh: 0.000 0.500 0.750 (multiplicity 2)

For Na5SnHg, a crystal structure in Alexandria, relaxed with GGA-PBE gives the simulated powder XRD pattern in this record (Cu Kα X-rays).
Peak positions follow from Bragg's law for the DFT cell and can differ from measured ones.

Top 6 peaks for 15° ≤ 2θ ≤ 90°, in order of rising 2θ:
20.14 deg, rel. 28, hkl 2 0 0
20.70 deg, rel. 100, hkl 1 1 2
31.73 deg, rel. 37, hkl 0 2 3
32.46 deg, rel. 30, hkl 2 2 1
33.89 deg, rel. 41, hkl 2 0 4
35.60 deg, rel. 28, hkl 3 1 2

Structural model:
a b c (Å): 8.817 7.338 13.228
angles (deg): 90.00 90.00 90.00
Space group Cmcm (No. 63)
One atom of each set of equivalent atoms:
Na: 0.000 0.023 0.250 (multiplicity 4)
Na: 0.206 0.330 0.108 (multiplicity 16)
Sn: 0.000 0.000 0.000 (multiplicity 4)
Hg: 0.000 0.400 0.750 (multiplicity 4)

For MnInAsN, a crystal structure in Alexandria, relaxed with GGA-PBE gives the simulated powder XRD pattern in this record (Cu Kα X-rays).
Peak positions follow from Bragg's law for the DFT cell and can differ from measured ones.

Top 6 peaks for 15° ≤ 2θ ≤ 90°, in order of rising 2θ:
26.97 deg, rel. 39, hkl 0 0 2
********
## The calculated crystals stop here


No. 23499.

United States District Court D. Connecticut.

January 26, 1951.

*275 William B. Gumbart and Gumbart, Corbin, Tyler & Cooper, all of New Haven, Conn., for trustee.

Warren A. Schenck, New York City, and Cummings & Lockwood, of Stamford, Conn., for debtor.

Sage, Gray, Todd & Sims, of New York City, and Pullman & Comley, of Bridgeport, Conn., for indenture trustee.

Hodges, Reavis, Pantaleoni & Downey, of New York City, and J. Stephen Knight, of New Haven, Conn., for Gleason Debenture Holders Committee.

Nordlinger, Riegelman and Benetar, of New York City, and Pouzzner, Hadden, Kopkind & Hadden, of New Haven, Conn., for Frank Debenture Holders Committee.

George Zolotar, of New York City, and Arthur A. Burck, New York City, of counsel, for Securities and Exchange Commission.

HINCKS, Chief Judge.

For fourteen months the trustee has given full time to the task. During the period of "full-time" activity due to the multiplicity and urgency of the problems which confronted him, many of which were currently brought to my attention, the trustee averaged a working day of substantially longer working hours and of more intensive and exhausting effort than is usually required of the chief executive officer of an industrial enterprise of comparable dimensions in full gear of operation. In addition to operating problems, the proper determination of which required extensive research and analysis, the trustee had a task in respect of the reorganization which involved an infinite amount of detail. This I find not only from his own testimony, which is without contradiction in the record, but also on the entire record and my numerous contacts with the attorneys for the trustee which I have had from the time the trustee was appointed.

The Security and Exchange Commission appraised his services for the period of "full time" activity at $1,666 per month. This appraisal, however, was made before hearing the trustee's testimony of the long hours required and devoted to the task: — the subject matter was not fully developed in all its detail in his petition for allowance. True, at the hearing counsel for *276 the Commission recognized that "there were periods during the hectic days of this reorganization that he spent a good deal more than a full working day." However, this statement which was made in answer to a question of my own at the hearing by no means goes so far as to show that the recommendation of the Commission previously formulated had fully taken into account the exhausting demand made upon the trustee's time over a prolonged period.

And so, upon the several factors upon which the recommendation of the Commission is based and taking into account the facts as to the unusual amount of time which the trustee devoted to the task, I come to the conclusion that the compensation of the trustee for the fourteen months of his full-time activity should be $2,000 per month. Adding to this the allowance, as recommended by the Commission, of $833 per month for the three months of half-time activity of the trustee, I allow him $30,500 as constituting reasonable compensation, against which $18,000 heretofore paid as interim allowance will be credited. He is also allowed his disbursements in the amount of $42.50.

The Other Allowances

-- Next to the entry, the page also holds data records --
'''
# 1
LiTbNdZn: simulated X-ray powder pattern (Cu Kα), based on a cell relaxed with GGA-PBE.

Most intense lines, 2θ = 10–90°, in order of rising 2θ:
2θ (°)  intensity  hkl
11.9  14.6  0 0 1
24.0  14.3  0 0 2
24.1  29.7  1 0 0
34.3  100.0  1 1 0
42.3  12.9  1 1 2
49.3  12.2  2 0 0
55.6  12.0  2 1 0
61.2  10.7  1 1 4
61.4  24.0  2 1 2
82.6  10.5  3 1 0

```
data_LiTbNdZn
_cell_length_a 3.6934
_cell_length_b 3.6934
_cell_length_c 7.4282
_cell_angle_alpha 90.00
_cell_angle_beta 90.00
_cell_angle_gamma 90.00
_space_group_name_H-M_alt 'P 4 m m'
_space_group_IT_number 99
loop_
_space_group_symop_operation_xyz
'x,y,z'
'-y,x,z'
'-x,-y,z'
'y,-x,z'
'-x,y,z'
'y,x,z'
'x,-y,z'
'-y,-x,z'
loop_
_atom_site_label
_atom_site_fract_x
_atom_site_fract_y
_atom_site_fract_z
Li1 0.0000 0.0000 0.0000
Tb1 0.5000 0.5000 0.2581
Nd1 0.5000 0.5000 0.7241
Zn1 0.0000 0.0000 0.4791
```

# 2
Li3Nd5Te8: simulated X-ray powder pattern (Cu Kα), based on a cell relaxed with GGA-PBE.

Most intense lines, 2θ = 10–90°, in order of rising 2θ:
2θ (°)  intensity  hkl
12.2  12.5  0 0 3
23.5  14.1  0 2 1
28.4  100.0  0 2 4
31.1  10.3  2 0 5
40.6  75.5  2 2 0
50.3  20.4  4 0 4
58.8  12.5  0 4 8
66.5  17.3  2 4 4
66.7  16.6  2 2 12
73.9  18.9  6 0 0

```
data_Li3Nd5Te8
_cell_length_a 8.8889
_cell_length_b 8.8889
_cell_length_c 21.7012
_cell_angle_alpha 90.00
_cell_angle_beta 90.00
_cell_angle_gamma 120.00
_space_group_name_H-M_alt 'R -3 m'
_space_group_IT_number 166
_space_group_name_Hall '-R 3 2"'
loop_
_atom_site_label
_atom_site_fract_x
_atom_site_fract_y
_atom_site_fract_z
Li1 0.0000 0.5000 0.0000
Nd1 0.0000 0.0000 0.0000
Nd2 0.0000 0.0000 0.5000
Nd3 0.0000 0.5000 0.5000
Te1 0.0000 0.0000 0.2542
Te2 0.0075 0.5037 0.2538
```

# 3
LiNd3Th4Te8: simulated X-ray powder pattern (Cu Kα), based on a cell relaxed with GGA-PBE.

Most intense lines, 2θ = 10–90°, in order of rising 2θ:
2θ (°)  intensity  hkl
28.4  100.0  0 2 4
39.5  41.2  2 0 8
41.6  35.6  2 2 0
47.5  8.1  0 0 12
51.1  19.8  4 0 4
58.7  12.8  0 4 8
64.9  18.8  2 2 12
68.0  16.7  2 4 4
70.1  7.5  0 2 16
74.5  12.6  4 2 8

```
data_LiNd3Th4Te8
_cell_length_a 8.6819
_cell_length_b 8.6819
_cell_length_c 22.9823
_cell_angle_alpha 90.00
_cell_angle_beta 90.00
_cell_angle_gamma 120.00
_space_group_name_H-M_alt 'R -3 m'
_space_group_IT_number 166
_space_group_name_Hall '-R 3 2"'
loop_
_atom_site_label
_atom_site_fract_x
_atom_site_fract_y
_atom_site_fract_z
Li1 0.0000 0.0000 0.0000
Nd1 0.0000 0.5000 0.0000
Th1 0.0000 0.0000 0.5000
Th2 0.0000 0.5000 0.5000
Te1 0.0000 0.0000 0.2507
Te2 0.0124 0.5062 0.7467
```

# 4
Li4NdTm3Te8: simulated X-ray powder pattern (Cu Kα), based on a cell relaxed with GGA-PBE.

Most intense lines, 2θ = 10–90°, in order of rising 2θ:
2θ (°)  intensity  hkl
12.5  31.1  0 0 3
24.0  23.8  0 2 1
29.1  100.0  0 2 4
31.8  13.3  2 0 5
41.6  37.8  2 2 0
41.7  37.5  2 0 8
51.6  20.1  4 0 4
68.3  17.0  2 4 4
68.5  16.9  2 2 12
76.0  18.8  6 0 0

```
data_Li4NdTm3Te8
_cell_length_a 8.6862
_cell_length_b 8.6862
'''

In all other respects the recommendations of the Commission both as to compensation for services and as to reimbursement of expenses are accepted. These recommendations were supported by a considered statement made in behalf of the Commission by its counsel, the transcript of which I have carefully reviewed. The recommendations were made known to those affected thereby in advance of the hearing and all have been fully heard. Consistent with the doctrine of Finn v. Childs Co., 2 Cir., 181 F.2d 431, I have no solid ground for rejecting or modifying the recommendations and it will serve no useful purpose for me to comment or elaborate upon the statement made in support thereof. I greatly appreciate the helpfulness and the cooperative attitude of the parties and their counsel throughout the proceedings. But I see no justification for making a greater aggregate charge against the property than that recommended by the Commission nor have I any confidence that I could improve upon the fairness of the suggested distribution of the aggregate considered available.

I must sustain also the recommendation of the Commission that, because of dealings by his principal in securities of the debtor while the reorganization proceedings were in progress, the Secretary of the Gleason debenture-holders committee be allowed nothing for his services or for the reimbursement of his expenses. This is indeed a drastic ruling in view of the fact that books of the principal show only four transactions comprising sales and purchases on its own account. These transactions involved in the aggregate less than $10,000 in face value of the debtor's debentures and resulted in a nominal profit to the principal of not over $65. In fact, these transactions were accomplished only for the convenience of principal's customers, the record thereof having been entered in the principal's name only by the inadvertence of a clerk notwithstanding strict instructions that no transactions should be handled for the principal. As agent the principal had handled only eleven such transactions aggregating only $23,000 in face amount, receiving commissions of only one-half point. Under these circumstances my personal inclination would be to avert a real hardship by accepting the suggestion of counsel that these inadvertences should be disregarded under the doctrine of "deminimis". However, counsel cites no case to support such a disposition; the language of Sec. 249, Chapter X, of the Act 11 U.S.C.A. § 649, leaves no room for judicial discretion in such a situation; and the commentators and courts are all agreed that the Act should be given rigid application. Collier on Bankruptcy, 14th Ed., Vol. 6, Pg. 4584 et seq.; Otis & Co. v. Insurance Bldg. Corp., 1 Cir., 110 F.2d 333; In re Mountain States Power Co., D.C., 35 F. Supp. 307, affirmed 3 Cir., 118 F.2d 405. See also In re Cosgrove-Meehan Coal Corp., 3 Cir., 136 F.2d 3, and In re Reynolds Investing Co., 3 Cir., 130 F.2d 60. I must therefore, take care not to let the hardship of this case lead me into a ruling at variance with law. And, after all, the hardship, though in this case real, *277 can scarcely be deemed unjust when one considers that all those who volunteer their assistance in the expectation of compensation under the Act must be deemed to do so subject to the rigid conditions which the Act imposes.